Adam McKie, MA Research Student at Royal Holloway, University of London, tells us about his research into employee sporting activities in the Huntley & Palmer papers.

Aerial view of the Huntley & Palmer factory in Reading with railway to the north and the River Kennett running right through the site (c. 1926)
My MA thesis explores the history of women’s cricket in interwar England; a project sponsored by The Association of Cricket Statisticians. Despite an abundance of research (both academic and trade) into the history of men’s cricket, the women’s game has largely been ignored by scholars and sports enthusiasts alike, and I hope to shine a light on the initial growth and organisation of the sport which occurred during this period. Women’s cricket can in turn be used as an effective cultural case study to explore issues surround women’s role in public life, gender construction, class and employment.
It is the relationship between women’s employment and sporting/recreational opportunities that led me to use the University of Reading’s Special Collections. The collection holds a large amount of records related to Huntley & Palmers and Peek Frean biscuit factories – including minute books, pamphlets, photograph albums, official works’ publications and other ephemera (the Reading Room supervisors were very patient with my continued requests for more and more bulky items…). Particularly interesting records for my research include interwar departmental cricket scorebooks [HP OS 610,6 607, 606, 676, 677] and a 1946 survey of 362 female employees’ social activities at the Huntley & Palmers’ Sports and Social Club [HP 768].

HP 768: 1946 survey of 362 female employees’ social activities at the Huntley & Palmers’ Sports and Social Club
Called upon to fill the jobs left behind by men leaving for war, women joined these factories’ workforces in large numbers during WWI: the ‘munitionettes’ contributed to an estimated 60,000 shells produced at Huntley & Palmers between 1915 and 1918 [HP102 p. 14]. A number of companies, including Huntley & Palmers and Peak Frean, subsequently offered female employees opportunities to participate in company-funded sporting/recreational activities in what they claimed was a paternalistic and benevolent approach to workers’ welfare. By 1929 both companies had women’s cricket teams, and Huntley & Palmers even had 21 interdepartmental women’s cricket teams (far outnumbering the men on just 12!). In what must have been a competitive and entertaining company tournament, teams included the Invoice Office, Sugar Wafers, Cake Making, Cream Filling and ‘Sample Room’ (I wouldn’t mind working in that last one). [HP OS 610]
By allowing women to play what was generally considered a ‘manly’ game unsuitable for females, these employers demonstrated their progressiveness on issues of sex; while simultaneously undermining this by providing women with less holiday and less pay than men. By 1946 the company also offered female workers badminton, darts, hockey, rifle shooting, and tennis, alongside courses in more traditional female pastimes including dressmaking and hairdressing [HP 768]. However by this time cricket seems to have lost its popularity – less than 3% of the 362 female employees reported to play the game, with netball becoming the chief sport for women with 14% participating [HP 768].
Martin Bishop, Bats, Balls and Biscuits: A Brief History of Cricket at the Reading Biscuit Factory (2008), p. 114.
# Records of crystals that have nothing to do with the article
********
# Li2Mn3O4F3
Calculated powder XRD pattern, Cu Kα (weighted mean of Kα1 and Kα2). Input: a PBE+U-relaxed structure.

Most intense lines, 10° ≤ 2θ ≤ 80°, in order of rising 2θ:
two_theta  intensity  index
18.0  100  1 -1 0
34.4  28  1 2 -2
35.0  14  1 0 -3
41.3  26  2 0 1
42.4  22  -2 1 3
42.6  23  0 3 -2
55.9  7  -3 2 3
60.1  7  2 3 -1
60.8  7  2 2 -5
61.9  7  0 1 4

Atomic structure:
a b c (Å): 6.223 6.666 7.989
angles (deg): 105.32 112.87 101.32
Space group P1 (No. 1)
Symmetry-distinct sites (fractional):
Li 0.000 0.000 0.000 x1
Li 0.069 0.159 0.493 x1
Li 0.575 0.579 0.880 x1
Li 0.645 0.473 0.423 x1
Mn 0.119 0.576 0.884 x1
Mn 0.246 0.719 0.593 x1
Mn 0.397 0.877 0.300 x1
Mn 0.528 0.037 0.020 x1
Mn 0.664 0.153 0.732 x1
Mn 0.962 0.447 0.161 x1
O 0.000 0.292 0.932 x1
O 0.055 0.724 0.097 x1
O 0.211 0.478 0.686 x1
O 0.326 0.988 0.520 x1
O 0.472 0.776 0.085 x1
O 0.590 0.875 0.817 x1
O 0.593 0.292 0.954 x1
O 0.925 0.586 0.377 x1
F 0.122 0.876 0.815 x1
F 0.367 0.577 0.366 x1
F 0.438 0.174 0.223 x1
F 0.723 0.461 0.684 x1
F 0.752 0.032 0.506 x1
F 0.940 0.155 0.222 x1
********
# Back to the article
You can find our more about the Huntley & Palmer archive here, as well as find out about visiting our reading room here.